The Dark Prince
Formal Summary: Kurosaki Ichigo knows that he has never been normal. He is blessed with the ability to see spirits, and to communicate with the dead. However, on the night he meets Kuchiki Rukia, his true self awakens, and he fully embraces his true identity.
Note: This first chapter follows the first meeting of Ichigo and Rukia very closely, but there will also be major changes, especially at the end. Please read it all the way to the bottom, as there is more to this story than just copying what happened in the Bleach Anime episode 1.
Disclaimer: I do not own Bleach, and neither do I own the various sources of inspiration for this story, like Code Geass. This disclaimer applies to all chapters, and is the only one I'm doing for this entire story.
Chapter 1: Awakening of the Dark Prince
Kurosaki Ichigo was lying on his bed, thinking of the events that had occurred earlier. He had always been able to see spirits, and he had communicated with many of them before. The strangely translucent people with broken chains protruding from their chests had often been friends of his, at least for the short time that they remained on earth. The one thing common with all spirits was that they would disappear after a short while. Ichigo never knew why, but assumed that they moved on to whatever afterlife there was.
However, that day, something else had happened. He had seen some beings he never thought he would see. First, he had seen a monster that was wreaking havoc in the town. He recognized at once that it must have been a sort of spirit, as nobody could see it other than him. The monster had been chasing a young girl's spirit when he saw it. He also noticed that the monster had a pure white mask, and a gaping hole in the place where its heart should have been.
Ichigo was shocked at this, and prepared to run from there, but suddenly, a third spirit appeared. This spirit was a teenage girl, who was rather short, had short black hair and violet eyes. She was dressed in black robes and was wielding a sword. To Ichigo's surprise, the girl jumped forward at a speed unmatched by any human, and slashed at the monster's mask with her sword, saving Ichigo and the young girl's spirit, which had been chased by the monster. Ichigo called out, "Hey, wait!"
But, the girl with the sword simply glanced at him shortly before suddenly vanishing into thin air. Ichigo looked at the scene, unable to believe what had just happened. He decided to simply go home, and ask his sister Karin if she had seen anything like that, as Karin was also able to see spirits clearly. However, she had not seen such spirits before and was unable to answer. Disappointed, Ichigo went to his room and laid on his bed, thinking about what had happened earlier.
For better or for worse, he was not to remain clueless for much longer. For at that moment, the girl he had seen earlier jumped right through his window. The petite, sword-wielding woman from earlier entered through Ichigo's window, one hand on her sword, ready to quickly draw it from its sheath. Ichigo jerked up, and looked at her in shock and suspicion, then cried out, "Hey! What the hell do you think you're doing!"
To his chagrin, the woman simply ignored him and continued moving forward stealthily. She then used her thumb to slightly push her sword upwards, so that a few centimeters of the blade were exposed. Understandably, Ichigo was shocked by what she had just done, and believing that she had hostile intentions, Ichigo grabbed his pillow and threw it at her. Startled, the girl turned his way, and while she was distracted by the pillow hitting her face, Ichigo shot forward and kicked away her hand, which was just about to draw her sword. Ichigo snapped, "What do you think you're doing, just entering someone's house with a sword and dressed like some kind of Samurai?"
The girl looked at him in disbelief, and said, "You...managed to hit me..."
Ichigo looked at her like she was crazy, then remembered that she was probably not even human. He replied, "Oh, you must be a spirit, if you're surprised that I can see you."
"You can see spirits? That is uncommon amongst the humans. Only one in 50000 humans can see us spirits."
Ichigo looked at her with less suspicion, now that he had confirmed her to be a spirit. He also spoke in a lighter tone. He spoke, "Is that so? I've been able to see spirits all my life. But all the spirits I saw were the normal human spirits, the ones with broken chains coming out of their chests. Today was the first time I ever saw a spirit like you, wearing those black robes and holding swords. Sorry about kicking you just then, I thought you were a burglar."
"I accept your apology, think I was a burglar!"
"Well, it is rather suspicious when a stranger enters through the window wielding a sword. You can't blame me for being suspicious, can you? Anyway, that aside, I have some questions about what happened this afternoon, involving you and that monster. Could you explain what happened back there?"
"Ordinarily, we keep this information to ourselves, and we don't bother explaining to humans. But since you can actually see, feel and communicate with spirits, I suppose telling you would be better than keeping it from you. My name is Kuchiki Rukia, and I am a Shinigami."
"I'm Kurosaki Ichigo. About the Shinigami part – are you serious?"
## Next to the piece, the page also holds molecular data
Entry 1:
Below is C32H78AlF9O16 as an isolated structure at a distorted geometry, with properties calculated with ωB97M-V with the def2-TZVPD basis set.

```
136
Properties=species:S:1:pos:R:3
Al 16.291 -15.256 -14.993
C 16.591 -12.945 -11.170
O 15.665 -13.290 -10.141
O 16.195 -13.785 -12.205
C 16.721 -11.421 -11.491
F 15.949 -10.869 -12.393
F 16.380 -10.639 -10.462
F 17.866 -11.000 -11.963
C 16.067 -13.142 -8.741
C 14.734 -13.153 -7.853
H 14.080 -12.303 -8.045
H 14.275 -14.141 -7.821
H 15.066 -12.926 -6.840
H 16.621 -12.233 -8.505
H 16.868 -13.750 -8.321
H 17.579 -13.267 -10.841
C 19.422 -18.210 -15.634
O 20.306 -17.137 -15.835
O 18.152 -17.524 -15.727
C 19.864 -19.439 -16.522
F 20.979 -20.040 -16.097
F 18.996 -20.456 -16.535
F 20.194 -19.211 -17.792
C 21.570 -17.157 -15.116
C 22.269 -15.896 -15.474
H 23.071 -15.609 -14.794
H 22.766 -15.956 -16.443
H 21.666 -15.028 -15.739
H 22.328 -17.932 -15.232
H 21.384 -17.243 -14.046
H 19.501 -18.616 -14.625
C 13.461 -14.968 -18.438
O 13.135 -13.635 -18.453
O 14.776 -15.245 -17.871
C 12.286 -15.891 -17.929
F 12.648 -17.155 -17.683
F 11.710 -15.506 -16.773
F 11.330 -15.915 -18.821
C 12.066 -13.120 -19.247
C 11.874 -11.718 -18.805
H 12.801 -11.145 -18.768
H 11.245 -11.111 -19.456
H 11.568 -11.564 -17.770
H 11.093 -13.599 -19.132
H 12.275 -13.088 -20.317
H 13.514 -15.172 -19.507
C 20.127 -14.873 -12.290
C 19.825 -14.006 -13.573
O 19.263 -14.629 -14.636
H 20.742 -14.183 -11.710
H 20.823 -15.711 -12.324
H 19.216 -14.932 -11.696
H 20.720 -13.502 -13.937
H 19.103 -13.250 -13.262
H 19.876 -15.284 -14.979
C 16.809 -18.356 -19.346
C 16.392 -17.390 -20.455
O 16.747 -16.076 -20.101
H 17.886 -18.379 -19.182
H 16.452 -19.378 -19.467
H 16.331 -17.909 -18.475
H 15.321 -17.457 -20.645
H 16.898 -17.658 -21.383
H 16.171 -15.738 -19.412
C 16.675 -10.244 -15.669
C 17.731 -11.353 -15.426
O 17.338 -12.529 -16.089
H 16.689 -10.070 -16.745
H 16.894 -9.303 -15.164
H 15.670 -10.603 -15.446
H 17.899 -11.536 -14.365
H 18.661 -11.087 -15.930
H 16.868 -12.250 -16.878
C 12.279 -12.400 -10.729
C 12.366 -13.916 -10.639
O 13.458 -14.354 -11.432
H 13.142 -11.900 -10.289
H 11.486 -12.024 -10.082
H 12.117 -12.010 -11.734
H 11.470 -14.278 -11.142
H 12.316 -14.365 -9.647
H 14.294 -14.012 -11.106
C 12.043 -17.184 -12.497
C 12.653 -16.744 -13.874
O 13.586 -15.758 -13.709
H 11.280 -17.947 -12.655
H 11.399 -16.345 -12.233
H 12.814 -17.451 -11.775
H 11.853 -16.429 -14.544
H 13.224 -17.545 -14.342
H 13.254 -15.287 -12.941
C 15.559 -19.141 -11.823
C 16.093 -17.674 -11.546
O 16.717 -17.329 -12.770
H 14.828 -19.183 -12.631
H 15.116 -19.515 -10.899
H 16.306 -19.926 -11.937
H 16.940 -17.747 -10.864
H 15.368 -16.943 -11.187
H 17.397 -17.987 -12.928
C 12.024 -12.680 -14.942
C 13.548 -12.432 -14.613
O 14.419 -13.062 -15.538
H 11.877 -12.984 -15.979
H 11.411 -11.782 -14.866
H 11.721 -13.461 -14.246
H 13.890 -12.785 -13.640
H 13.699 -11.356 -14.694
H 14.021 -12.839 -16.383
C 15.116 -20.465 -15.656
C 14.554 -19.168 -16.184
O 15.367 -18.140 -15.612
## Here the piece continues
Rukia nodded, and then suddenly took a sketchpad and started drawing on it. Within a few minutes, she was done, and showed the her work to Ichigo, whose eyes widened. On the paper were very badly drawn things that looked vaguely like rabbits. Some of them were in black robes, some were in normal human clothes, and others had holes in their chests. Ichigo sweatdropped, and said bluntly, "That terrible drawing does not explain anything!"
"Bakudo #1: Sai!"
Ichigo yelled out in surprise, as his arms were suddenly bound behind his back. Looking up, he wondered in shock how the girl had so suddenly bound his arms with something resembling a verbal command. Strangely, the girl's use of the strange technique raised some nostalgia in Ichigo. Brushing it off, he demanded, "What the hell did you do to me? Release me , damn it!"
Rukia ignored him and started explaining Shinigami, normal souls and Hollows, speaking in a cold voice. Ichigo stopped struggling and listened. When Rukia ended her explanation, her face looked thoughtful and she said, "Earlier, I was tracking a Hollow. We Shinigami can sense the presence of other Spirits that have some Spirit Energy. I could easily follow that Hollow, but when you threw that pillow at me, I could no longer sense it."
"Maybe it disappeared?"
"Not likely. There are many souls in this town for the Hollow to feast on. To just give up is not in the nature of Hollows."
"What? If the people in this town are in danger, shouldn't you be out there doing your job?"
"Silence! I won't have a mere human telling me howto do my job. As soon as I can sense it, I can-"
As soon as the sound was heard by the two in the room, Rukia's eyes widened in shock, and she ran out. Ichigo looked at her and cried, "What, it's here? Hey, you're not going to fight it by yourself are you?"
"Of course I am! Like you just said, it is my job!"
"Look I was joking! Here, release my arms, and let me help you out!"
Rukia sneered, "Help? You'll only get in the way!"
Rukia had already gone down, and was in the living room. She hurried over to the door. Ichigo looked at her desperately. Ordinarily, he would have let the girl go, but this time, something had stirred in the back of his mind, telling him that he had to intervene. Crying out with the strain, he tried as hard as he could to move his arms. Unfortunately, his efforts were futile, since he could not use his spirit energy to break the invisible bonds. Then, at that moment, a small voice in his head muttered, "Imagine energy flowing to your arms. Imagine it flowing like water, from your body to your arms. Don't overdo it, the spell is extremely weak, and using even a small fraction of you power is like killing a fly with a sledgehammer."
Not knowing why he was even listening to a voice that had just popped into his head, Ichigo obeyed, willing power to flow into his arms. In order to control it, he imagined the energy to be like a small flow of water.The next moment, he heard Rukia say, "Impossible! A human should not be able to break a Kido spell! This guy...he just did it without even halfway straining himself!" Ichigo looked down, and found that his arms were free. Rukia was about to ask another question, but the Hollow roared once again, and Rukia ran out through the door to confront the enemy instead of wasting time talking.
Ichigo followed, and soon, they found themselves facing the Hollow. Rukia readied her sword, holding it in a defensive position. She ran forward and struck. To Ichigo's surprise, a thought drifted into his mind: Her grip on her sword is not strong enough. She is not putitng enough strength into her strike. The Hollow can easily overpower her.
Ichigo knew nothing about swordplay, and was taken aback when his prediction came true. Rukia came tumbling to the floor. He shouted her name in anxiety and ran forward to help her. At that moment, the Hollow stepped forward, drooling, its sights set on Ichigo. Ichigo gulped in fright, having never faced such a monster before. The fear clearly showing in his face, he backed up a few steps. The monster growled and stepped forward, moving slowly, to instil more fear in Ichigo. The 16 year old started considering running from there.
"Do not run, Ichigo. Fight."
"How? This Shinigami got beaten so fast, what chance do I have? Who the hell are you anyway? And how can you hear my thoughts?"
"I am your partner, Ichigo. We are bound by an unbreakable contract. We are accomplices."
"Accomplices? I don't even know you!"
"You have known me for thousands of years. You have simply forgotten your past because of your rebirth. I am the one who aids you in battle. We fight alongside each other as blade and wielder. My name, Ichigo, is...Zangetsu!"
As soon as the name was spoken, it resounded deeply within Ichigo's mind like thunder. Ichigo dropped to one knee, with the mental strain. Flashes of memories streamed into his head at an alarming pace. The image of a large palace, a grinning man, who looked around 25 years old, with blond hair, a warmly smiling woman with dark blue hair, who looked 16, and a boy and girl who looked similar to each other, with the same excited smiles and light brown hair, both of whom looked like 12 years old. Then, finally, another image came, this one of a young boy, probably just 6 years old, who looked very scared, and had dark brown hair and lighter brown eyes.
Many more images flashed through Ichigo's head, and these were of many more people. Soon, it stopped.
Rukia looked uncertainly at Ichigo, not knowing what had happened. Even the Hollow had stopped to watch what would happen next. Rukia tentatively called out, "Hey, Kurosaki Ichigo! What happened?"
To her surprise, Ichigo got up, smilig slightly. The Hollow, which had been watching with its head cocked to one side curiously, drawled, "About time you woke up, kid. I hate eating souls unless they're conscious. I love hearing those screams of agony as I rip their guts out!"
Ichigo started walking towards the Hollowwith small but confident steps. As he approached the monster, he asked, "Is that so? You know, I've never hated Hollows. To me, they're simply like rabid animals. And you know what must be done with such pitiful animals, don't you?"
The Hollow stopped grinning, and looked calculatingly at Ichigo. The teen responded calmly, "They must be put down."
The Hollow's eyes widened considerably at the statement, and at the tone with which it had been spoken. This teen, who was close to running away in fright, now confronted him with an air of authority, as if killing Hollows was a regular, mundane thing for him. Before he could even take a step forward to attack, a sword materialized out of thin air into Ichigo's hand. The next second, the Hollow's body was already dissolving, having been cut in two by Ichigo's blade.
Rukia watched it all with growing shock. "A human, simply destroying a Hollow like that? How did he materialize a blade into his hand just like that? And his spiritual pressure – It's off the charts!"
Ichigo examined the sword in his hand, which had a dark blue hilt, a shiny silver blade and a crescent chaped crossguard. He then sheathed it, then turned to the speechless Rukia and spoke in a confident tone, "Your injuries are bad. Come to my house and I'll patch you up."
Looking at Rukia's expression, Ichigo said kindly, "Don't worry, you have my word that I will not allow any harm to come to you while you're with me."
Rukia shook her head vigorously and snapped, "Hold on! What the hell just happened? You're supposed to be a mere human, but you suddenly materialize a Zanpakuto, and kill that Hollow with a lazy strike! And not to mention, your reiatsu is through the roof! It's even higher than a Captain's! Or did you not notice that either?"
Ichigo stared at her for a few seconds, and sighed. He looked Rukia in the eye and said, "Alright, I'll tell you who I am. Everything I am going to tell you now is true, although it may sound unbelievable to you."
Rukia had had her fair share of "unbelievable", and nodded, motioning him to continue.
"Tell me, Rukia. Which is the highest Authority in Soul Society?"
"Central 46. It is like our Government. Every order they give is to be carried out to the letter, and not even the Captain Commander can overrule their decisions."
"Good answer, but wrong. I'm looking for something even higher."
"Nobody's higher than Central 46! Well, there is the Royal Family, but they leave Soul Society's running to Central, so we can't really count them..."
(The text is interrupted by data records)
-- begin --
Entry 1:
Entry from the OMol25 dataset: a 9-piece molecular cluster, C21H64N14O9 overall (the ωB97M-V functional and the def2-TZVPD basis).

Structure (XYZ):
```
108
Properties=species:S:1:pos:R:3:forces:R:3
C 3.703815 5.150002 3.268370 -1.3 1.2 0.6
O 2.516615 5.989074 3.517145 0.8 -1.2 -1.6
C 2.809704 7.352185 3.741675 -1.6 -0.5 1.0
C 1.456109 8.107010 3.819535 2.4 0.9 -0.5
C 0.837517 8.233504 2.471179 -1.0 -2.8 -0.6
N 1.747689 9.495230 4.194615 -0.6 0.4 1.1
H 4.322995 5.474302 2.431979 -0.2 0.4 -0.1
H 3.331486 4.155562 3.022300 0.1 0.0 0.4
H 4.280587 5.235589 4.189295 0.3 -0.6 0.0
H 3.278704 7.338049 4.725511 0.5 0.9 0.0
H 3.381638 7.840640 2.952750 0.5 -0.2 -0.1
H 0.811834 7.618241 4.550366 -0.1 0.2 0.0
H 0.622244 7.198516 2.205541 -0.5 -0.2 -0.6
H 1.499546 8.559352 1.668904 0.0 0.6 0.3
H -0.126897 8.737255 2.536370 0.2 0.3 -0.3
H 2.436833 9.911704 3.584918 0.6 -0.3 -0.1
H 0.912166 9.925125 3.824228 -0.2 0.9 0.6
C -1.518637 -1.935925 -0.567738 2.6 -0.4 0.5
O -2.224553 -0.764855 -0.746052 -1.6 1.2 0.8
C -1.907859 0.393575 0.098992 -0.1 -0.1 -1.3
C -0.812344 1.230476 -0.621811 0.5 -1.2 2.7
C -0.121927 2.178988 0.346501 -0.5 0.9 0.2
N -1.209915 1.874034 -1.808972 0.4 -0.3 -1.8
H -1.038736 -2.052155 0.404010 -0.2 0.4 0.7
H -0.638091 -1.896457 -1.208969 0.1 -0.4 -0.5
H -1.979382 -2.916424 -0.687862 -1.0 0.5 -0.6
H -2.814505 0.996081 0.154542 -0.2 -0.2 0.0
H -1.625718 0.121301 1.116038 0.2 -0.4 0.0
H -0.118283 0.414518 -0.823322 0.5 0.3 -0.8
H -0.885834 2.802943 0.810469 -0.2 0.0 0.3
H 0.500108 2.922295 -0.152188 0.2 -0.3 -0.3
H 0.459842 1.717615 1.144473 -0.1 -0.2 -0.1
H -1.322301 1.120559 -2.472105 -0.4 0.3 -0.5
H -2.030825 2.462371 -1.815818 -0.2 0.0 0.5
C -1.136267 -11.017280 0.196460 1.0 -1.1 0.8
O -1.932108 -9.989966 -0.299854 -0.2 1.0 1.0
C -1.826209 -8.773366 0.495831 -0.4 1.1 -0.4
C -2.832844 -8.510554 1.685196 0.6 0.2 -0.1
C -2.619898 -7.112650 2.466528 0.0 -1.8 -1.3
N -2.687042 -9.571251 2.676277 0.3 -0.1 0.2
H -0.934574 -11.847154 -0.480829 -0.7 0.3 -0.7
H -1.528216 -11.480576 1.101905 -0.2 0.0 0.1
H -0.121114 -10.714979 0.453695 0.1 0.6 0.1
H -0.805434 -8.586971 0.829571 0.2 -0.6 0.3
H -1.951504 -7.986081 -0.247525 -0.4 0.1 0.0
H -3.846298 -8.646140 1.307527 -0.2 0.9 -0.5
H -2.688754 -6.252872 1.800091 0.1 0.0 0.1
H -1.646617 -7.176402 2.953101 0.1 0.2 -0.2
H -3.350033 -7.016711 3.270137 -0.2 -0.1 -0.2
H -3.491288 -9.483480 3.280922 0.0 -0.2 0.4
H -2.817246 -10.436675 2.172114 0.0 -0.3 0.2
C 3.339700 -3.232717 -1.521289 -1.7 0.4 0.4
O 2.504931 -3.011859 -2.683512 0.9 -0.8 0.7
C 3.195235 -2.265306 -3.639639 -0.2 0.9 -0.6
C 2.316993 -2.036359 -4.873786 0.7 0.0 0.3
C 1.645502 -3.324673 -5.385363 -0.3 0.9 0.5
N 3.061706 -1.422324 -6.002694 -0.6 -1.3 -0.4
H 4.392687 -2.967757 -1.616850 -0.1 0.0 -0.4
H 3.224763 -4.244770 -1.133166 0.1 -0.2 -0.5
H 2.868828 -2.618375 -0.753860 0.4 0.3 0.3
H 3.445740 -1.283469 -3.238005 0.1 0.4 0.2
H 4.159642 -2.725438 -3.854805 0.0 -0.3 -0.6
H 1.549399 -1.290534 -4.667218 -0.4 -0.3 0.9
-- stop --
(Back to the text)
Ichigo smiled in s "bingo!" sort of way, and said, "That's right. The Royal family is the highest authority, and its members are extremely powerful Shinigami. The family is headed by the Spirit King, and he has 5 sons and daughters."
"H-How the hell do you know all this? I don't think even the Captains know what the Royal Family is like!"
Ichigo held up his hand and a small leather card holder suddenly materialized into his palm. He openedthe holder, and showed Rukia its contents. Rukia looked up at him with eyes as wide as saucers. Ichigo smiled and said, "I am Kurosaki Ichigo – Second Prince of the Royal Family of Soul Society."
To be continued
As you would have know by now, this story is about Ichigo being a member of the Royal Family of Soul Society. I have read a few stories that make use of this idea, like Family Duties by Black Sun upon an Icy Sky, and Heir to the Throne by Random Inspiration. I thought that the basic idea behind those stories was great, so when an idea for such a story formed in my mind, I decided to contribute to the list of stories in which Ichigo is a Royal Family member.
In this story, Ichigo is the second Prince, meaning he is the second oldest. He has four siblings, and the people he saw in his flashbacks are those siblings. The blond man is his brother, the eldest sibling, the dark-blue haired woman is his younger sister, and the younger ones are twins, and the youngest of the siblings. These five are extremely powerful Shinigami, each with power greater than that of a captain.
The next chapter will be about Ichigo's memories of his days as a Prince before the event that led to him losing his memories and coming to live in Karakura Town.
Please review!